Echo the contents further below unchanged.

+++
7 unconnected molecules or ions with the total composition C42H42O14, computed with wB97M-V/def2-TZVPD.

Atoms and positions in Å:
C 5.6179 -4.1836 2.7866
C 4.4681 -5.1060 2.5332
C 3.2094 -4.6182 2.3883
C 2.9847 -3.1834 2.4543
C 3.9801 -2.2605 2.5763
C 5.2436 -2.6942 2.6080
O 6.2213 -1.8345 2.7362
O 2.1349 -5.3397 2.1273
H 6.6640 -4.5471 3.0505
H 4.7008 -6.1250 2.6146
H 2.0440 -2.8071 2.3588
H 3.7073 -1.2536 2.3521
H 5.8892 -1.0995 2.7614
H 2.4482 -6.2396 2.0120
C 0.4129 -2.3748 -7.4555
C 1.5446 -3.4305 -7.1149
C 1.5217 -4.0150 -5.8316
C 0.5740 -3.6093 -4.9450
C -0.3519 -2.4683 -5.1519
C -0.4133 -1.8812 -6.3941
O -1.3931 -0.9531 -6.7149
O 2.4889 -4.9004 -5.5494
H 0.4147 -1.9455 -8.4651
H 2.2474 -3.9337 -7.8203
H 0.6665 -4.1024 -3.9801
H -1.1311 -2.1437 -4.5304
H -1.1994 -0.4982 -7.5417
H 2.4688 -5.0033 -4.6831
C 1.7076 0.2403 -0.0493
C 2.2533 1.6000 0.4522
C 1.3626 2.5912 0.4633
C 0.0455 2.5439 -0.1314
C -0.2512 1.3880 -0.7717
C 0.5507 0.2338 -0.7124
O 0.1302 -0.7369 -1.5353
O 1.7982 3.9087 0.8133
H 2.4285 -0.6554 0.0420
H 3.2455 1.5226 0.9921
H -0.7126 3.3453 0.1008
H -1.1605 1.3321 -1.3019
H -0.3528 -0.5590 -2.3466
H 1.1352 4.5820 0.7718
C -2.4189 3.5583 2.4982
C -3.8860 3.2752 1.8479
C -4.5987 4.2987 1.3178
C -3.9939 5.5553 1.1243
C -2.7958 5.8491 1.7625
C -1.9829 4.8996 2.4109
O -0.7676 5.2271 3.0194
O -5.7906 4.1491 0.7826
H -1.7560 2.7528 2.8870
H -4.2642 2.3036 1.8996
H -4.6201 6.2388 0.6238
H -2.5278 6.7953 1.7171
H -0.5683 6.3095 2.8364
H -6.1944 3.2983 1.0438
C -3.2781 -2.9830 3.5515
C -2.1791 -3.2429 2.6340
C -1.7882 -2.1235 1.8743
C -2.4657 -0.9040 1.8918
C -3.4669 -0.7026 2.8698
C -3.8590 -1.7573 3.7210
O -4.7267 -1.4696 4.7711
O -0.8255 -2.2488 0.9448
H -3.5109 -3.6794 4.1765
H -1.9259 -4.2253 2.6254
H -2.0683 0.0140 1.1969
H -3.9204 0.3839 3.0122
H -4.7095 -1.9701 5.5992
H -0.2974 -1.6114 0.4728
C 5.0929 4.0633 1.8295
C 4.8141 3.0479 2.9545
C 5.4225 1.7520 2.7785
C 6.1565 1.3668 1.6089
C 6.2572 2.2973 0.5979
C 5.7284 3.7048 0.6254
O 5.8103 4.4713 -0.4652
O 5.2843 0.8382 3.7623
H 4.6917 5.0121 1.9363
H 4.2408 3.3284 3.7953
H 6.6485 0.5078 1.5332
H 6.7259 2.1267 -0.2796
H 6.3421 4.2647 -1.0079
H 4.4113 0.9374 4.2663
C -6.4134 -0.1590 -3.2604
C -4.9913 -0.3785 -3.9390
C -3.8981 -0.5009 -3.2008
C -4.0122 -0.4976 -1.7437
C -5.2992 -0.4606 -1.0955
C -6.4424 -0.2946 -1.8235
O -7.6232 -0.1658 -1.1948
O -2.6405 -0.3180 -3.6966
H -7.0896 -0.0100 -3.9005
H -4.8481 -0.4429 -5.2384
H -3.0689 -0.5770 -1.1542
H -5.3200 -0.6030 0.0397
H -7.5755 0.1706 -0.2452
H -2.5618 -0.2572 -4.5633

Atoms 1-3, force components in eV/Å:
-3.4 2.0 -1.3
4.0 2.9 1.3
0.3 4.6 0.2

The HOMO energy is -0.2727 Eh. Its gap between HOMO and LUMO is 0.2804 Ha. As for the energy above the lowest of the compared OMol25 structures with the same formula, charge and spin: 1189.7 kJ/mol. Its total charge is 0. As for the structure (SMILES): Oc1ccc(O)cc1.Oc1ccc(O)cc1.Oc1ccc(O)cc1.Oc1ccc(O)cc1.Oc1ccc(O)cc1.Oc1ccc(O)cc1.Oc1ccc(O)cc1.

Mulliken population analysis, charges in e, atoms 1 to 6: number 1, C, carries -0.863; number 2, C, carries -0.505; number 3, C, carries 0.318; number 4, C, carries -0.658; number 5, C, carries -0.354; number 6, C, carries 0.638

3 unconnected molecules or ions with the total composition C42H43Cl2IN3O10S, computed with wB97M-V/def2-TZVPD.

Atoms and positions in Å:
C 5.0600 3.3384 -1.1082
C 3.5437 3.2846 -0.5732
C 3.0456 1.8007 -0.1422
N 1.8796 1.3350 -1.0029
C 0.8048 0.6305 -0.2607
N 0.0605 1.1508 0.7016
C -0.9705 0.2827 1.4039
C -2.4817 0.6874 1.0618
C -3.4061 -0.0390 2.1961
S -3.3082 -1.9103 1.9470
C 0.1435 2.5700 1.1947
C 0.0596 3.6807 0.0337
C -1.2410 4.6258 0.2428
Cl -0.9948 6.0682 -0.8951
N 0.8293 -0.7091 -0.8595
C -0.4380 -1.2691 -1.4122
C -1.2457 -0.2930 -2.3932
O -1.7134 0.8295 -2.1097
I -1.6272 -1.0066 -4.4506
C 2.0066 -0.8845 -1.7963
O 2.9196 -1.6466 -0.9665
C 2.7929 -3.0191 -1.4436
O 3.2962 -3.4134 -2.5210
C 1.9353 -4.1070 -0.6138
C 2.4026 -4.6415 0.7939
C 1.5119 -5.6683 1.5811
C 0.1532 -6.2112 1.0366
+++

7 unconnected molecules or ions with the total composition C42H42O14, computed with wB97M-V/def2-TZVPD.

Atoms and positions in Å:
C 5.6179 -4.1836 2.7866
C 4.4681 -5.1060 2.5332
C 3.2094 -4.6182 2.3883
C 2.9847 -3.1834 2.4543
C 3.9801 -2.2605 2.5763
C 5.2436 -2.6942 2.6080
O 6.2213 -1.8345 2.7362
O 2.1349 -5.3397 2.1273
H 6.6640 -4.5471 3.0505
H 4.7008 -6.1250 2.6146
H 2.0440 -2.8071 2.3588
H 3.7073 -1.2536 2.3521
H 5.8892 -1.0995 2.7614
H 2.4482 -6.2396 2.0120
C 0.4129 -2.3748 -7.4555
C 1.5446 -3.4305 -7.1149
C 1.5217 -4.0150 -5.8316
C 0.5740 -3.6093 -4.9450
C -0.3519 -2.4683 -5.1519
C -0.4133 -1.8812 -6.3941
O -1.3931 -0.9531 -6.7149
O 2.4889 -4.9004 -5.5494
H 0.4147 -1.9455 -8.4651
H 2.2474 -3.9337 -7.8203
H 0.6665 -4.1024 -3.9801
H -1.1311 -2.1437 -4.5304
H -1.1994 -0.4982 -7.5417
H 2.4688 -5.0033 -4.6831
C 1.7076 0.2403 -0.0493
C 2.2533 1.6000 0.4522
C 1.3626 2.5912 0.4633
C 0.0455 2.5439 -0.1314
C -0.2512 1.3880 -0.7717
C 0.5507 0.2338 -0.7124
O 0.1302 -0.7369 -1.5353
O 1.7982 3.9087 0.8133
H 2.4285 -0.6554 0.0420
H 3.2455 1.5226 0.9921
H -0.7126 3.3453 0.1008
H -1.1605 1.3321 -1.3019
H -0.3528 -0.5590 -2.3466
H 1.1352 4.5820 0.7718
C -2.4189 3.5583 2.4982
C -3.8860 3.2752 1.8479
C -4.5987 4.2987 1.3178
C -3.9939 5.5553 1.1243
C -2.7958 5.8491 1.7625
C -1.9829 4.8996 2.4109
O -0.7676 5.2271 3.0194
O -5.7906 4.1491 0.7826
H -1.7560 2.7528 2.8870
H -4.2642 2.3036 1.8996
H -4.6201 6.2388 0.6238
H -2.5278 6.7953 1.7171
H -0.5683 6.3095 2.8364
H -6.1944 3.2983 1.0438
C -3.2781 -2.9830 3.5515
C -2.1791 -3.2429 2.6340
C -1.7882 -2.1235 1.8743
C -2.4657 -0.9040 1.8918
C -3.4669 -0.7026 2.8698
C -3.8590 -1.7573 3.7210
O -4.7267 -1.4696 4.7711
O -0.8255 -2.2488 0.9448
H -3.5109 -3.6794 4.1765
H -1.9259 -4.2253 2.6254
H -2.0683 0.0140 1.1969
H -3.9204 0.3839 3.0122
H -4.7095 -1.9701 5.5992
H -0.2974 -1.6114 0.4728
C 5.0929 4.0633 1.8295
C 4.8141 3.0479 2.9545
C 5.4225 1.7520 2.7785
C 6.1565 1.3668 1.6089
C 6.2572 2.2973 0.5979
C 5.7284 3.7048 0.6254
O 5.8103 4.4713 -0.4652
O 5.2843 0.8382 3.7623
H 4.6917 5.0121 1.9363
H 4.2408 3.3284 3.7953
H 6.6485 0.5078 1.5332
H 6.7259 2.1267 -0.2796
H 6.3421 4.2647 -1.0079
H 4.4113 0.9374 4.2663
C -6.4134 -0.1590 -3.2604
C -4.9913 -0.3785 -3.9390
C -3.8981 -0.5009 -3.2008
C -4.0122 -0.4976 -1.7437
C -5.2992 -0.4606 -1.0955
C -6.4424 -0.2946 -1.8235
O -7.6232 -0.1658 -1.1948
O -2.6405 -0.3180 -3.6966
H -7.0896 -0.0100 -3.9005
H -4.8481 -0.4429 -5.2384
H -3.0689 -0.5770 -1.1542
H -5.3200 -0.6030 0.0397
H -7.5755 0.1706 -0.2452
H -2.5618 -0.2572 -4.5633

Atoms 1-3, force components in eV/Å:
-3.4 2.0 -1.3
4.0 2.9 1.3
0.3 4.6 0.2

The HOMO energy is -0.2727 Eh. Its gap between HOMO and LUMO is 0.2804 Ha. As for the energy above the lowest of the compared OMol25 structures with the same formula, charge and spin: 1189.7 kJ/mol. Its total charge is 0. As for the structure (SMILES): Oc1ccc(O)cc1.Oc1ccc(O)cc1.Oc1ccc(O)cc1.Oc1ccc(O)cc1.Oc1ccc(O)cc1.Oc1ccc(O)cc1.Oc1ccc(O)cc1.

Mulliken population analysis, charges in e, atoms 1 to 6: number 1, C, carries -0.863; number 2, C, carries -0.505; number 3, C, carries 0.318; number 4, C, carries -0.658; number 5, C, carries -0.354; number 6, C, carries 0.638

3 unconnected molecules or ions with the total composition C42H43Cl2IN3O10S, computed with wB97M-V/def2-TZVPD.

Atoms and positions in Å:
C 5.0600 3.3384 -1.1082
C 3.5437 3.2846 -0.5732
C 3.0456 1.8007 -0.1422
N 1.8796 1.3350 -1.0029
C 0.8048 0.6305 -0.2607
N 0.0605 1.1508 0.7016
C -0.9705 0.2827 1.4039
C -2.4817 0.6874 1.0618
C -3.4061 -0.0390 2.1961
S -3.3082 -1.9103 1.9470
C 0.1435 2.5700 1.1947
C 0.0596 3.6807 0.0337
C -1.2410 4.6258 0.2428
Cl -0.9948 6.0682 -0.8951
N 0.8293 -0.7091 -0.8595
C -0.4380 -1.2691 -1.4122
C -1.2457 -0.2930 -2.3932
O -1.7134 0.8295 -2.1097
I -1.6272 -1.0066 -4.4506
C 2.0066 -0.8845 -1.7963
O 2.9196 -1.6466 -0.9665
C 2.7929 -3.0191 -1.4436
O 3.2962 -3.4134 -2.5210
C 1.9353 -4.1070 -0.6138
C 2.4026 -4.6415 0.7939
C 1.5119 -5.6683 1.5811
C 0.1532 -6.2112 1.0366